The reader should return the whole of the lines underneath with every line break kept.

____________
[1]
A plane-wave DFT calculation with PBE was carried out for HoN2 after structural relaxation.

## Properties
As for the crystal system: cubic. Its size of the total moment is 1.6 μB/cell. As for the total energy: -6.813 eV/atom.

Cell lengths 3.867, 3.867, 3.867 Å; angles 60.00, 60.00, 60.00 degrees
Fractional positions:
Ho (0.000, 0.000, 0.000)
N (0.250, 0.250, 0.250)
N (0.750, 0.750, 0.750)


[2]
A plane-wave DFT calculation with PBE was carried out for Pr3Mg3InAgPt after structural relaxation.

## Properties
As for the crystal system: hexagonal. Its size of the total moment is 0.1 μB/cell. As for the total energy: -3.915 eV/atom.

Cell lengths 8.024, 8.024, 4.120 Å; angles 90.00, 90.00, 120.00 degrees
Fractional positions:
Ag (0.000, 0.000, 0.000)
In (0.667, 0.333, 0.500)
Mg (0.245, 0.002, 0.500)
Mg (0.998, 0.244, 0.500)
Mg (0.756, 0.755, 0.500)
Pr (0.401, 0.428, 0.000)
Pr (0.027, 0.599, 0.000)
Pr (0.572, 0.973, 0.000)
Pt (0.333, 0.667, 0.500)

* * * * *

No. 1
Density functional theory data (PBE) for an optimized crystal structure of Eu2ScTl.

a = 4.1174 Å, b = 4.1174 Å, c = 7.3415 Å
α = 90.00°, β = 90.00°, γ = 90.00°
With the nearest neighbours (Å) after each atom.
Space group P4/mmm (No. 123)
Unique sites:
Eu: 0.0000 0.0000 0.2452 [2 per cell]  4 Tl 3.42, 4 Sc 3.46, 2 Eu 3.60-3.74
Sc: 0.5000 0.5000 0.5000 [1 per cell]  8 Eu 3.46, 2 Tl 3.67
Tl: 0.5000 0.5000 0.0000 [1 per cell]  8 Eu 3.42, 2 Sc 3.67

Calculated values
As for the size of the total moment: 14.5 μB per cell. The value obtained for the density of states at the Fermi level is 1.1793 states/eV/atom. For the electronic total energy, the calculation gives -7.38 eV/atom.

---

No. 2
Density functional theory data (PBE) for an optimized crystal structure of GaPbSeO5.

a = 7.4689 Å, b = 9.2564 Å, c = 7.4935 Å
α = 90.00°, β = 117.37°, γ = 90.00°
With the nearest neighbours (Å) after each atom.
Space group C2/c (No. 15)
Unique sites:
Ga: 0.0000 0.0000 0.0000 [4 per cell]  4 O 1.94-2.01
Pb: 0.0000 0.3093 0.2500 [4 per cell]  5 O 2.36-2.59
Se: 0.0000 0.2944 0.7500 [4 per cell]  2 O 1.71
O: 0.0000 0.0545 0.2500 [4 per cell]  2 Ga 1.94
O: 0.1101 0.2003 0.5893 [8 per cell]  1 Se 1.95, 1 Ga 2.01
O: 0.1845 0.4081 0.9103 [8 per cell]  1 Se 1.71

Calculated values
As for the size of the total moment: 3.7 μB per cell. The value obtained for the density of states at the Fermi level is 0.2211 states/eV/atom. For the electronic total energy, the calculation gives -5.39 eV/atom. The calculation puts the uncorrected formation energy at -1.009 eV per atom.

---

No. 3
Density functional theory data (PBE) for an optimized crystal structure of Na2PaPbI8.

a = 7.4182 Å, b = 9.4241 Å, c = 7.8531 Å
α = 90.00°, β = 94.46°, γ = 90.00°
With the nearest neighbours (Å) after each atom.
Space group P2/m (No. 10)
Unique sites:
Na: 0.0000 0.2398 0.0000 [2 per cell]  4 I 3.08-3.30
Pa: 0.5000 0.5000 0.5000 [1 per cell]  6 I 3.04-3.05
Pb: 0.5000 0.0000 0.5000 [1 per cell]  6 I 3.17-3.31
I: 0.2411 0.0000 0.1586 [2 per cell]  2 Na 3.08, 1 Pb 3.17
I: 0.2453 0.5000 0.1768 [2 per cell]  1 Pa 3.04, 2 Na 3.30
I: 0.2724 0.2689 0.6508 [4 per cell]  1 Pa 3.05, 1 Pb 3.31

Calculated values
As for the size of the total moment: 1.0 μB per cell. The value obtained for the density of states at the Fermi level is 0.0812 states/eV/atom. For the electronic total energy, the calculation gives -3.30 eV/atom. The calculation puts the uncorrected formation energy at -0.948 eV per atom.

---

No. 4
Density functional theory data (PBE) for an optimized crystal structure of TlSiAg.

a = 3.9964 Å, b = 6.1327 Å, c = 6.5415 Å
α = 65.05°, β = 72.33°, γ = 89.99°
With the nearest neighbours (Å) after each atom.
Space group P1 (No. 1)
Unique sites:
Tl: 0.0000 0.0000 0.0000 [1 per cell]  4 Ag 2.94-3.04, 2 Tl 3.14-3.15
Tl: 0.2871 0.7281 0.4254 [1 per cell]  4 Ag 2.94-3.04, 2 Tl 3.14-3.15
Si: 0.4543 0.4354 0.0908 [1 per cell]  2 Si 2.41-2.42, 2 Ag 2.59-2.65
Si: 0.8348 0.2959 0.3310 [1 per cell]  2 Si 2.41-2.42, 2 Ag 2.59-2.65
____________

[1]
A plane-wave DFT calculation with PBE was carried out for HoN2 after structural relaxation.

## Properties
As for the crystal system: cubic. Its size of the total moment is 1.6 μB/cell. As for the total energy: -6.813 eV/atom.

Cell lengths 3.867, 3.867, 3.867 Å; angles 60.00, 60.00, 60.00 degrees
Fractional positions:
Ho (0.000, 0.000, 0.000)
N (0.250, 0.250, 0.250)
N (0.750, 0.750, 0.750)


[2]
A plane-wave DFT calculation with PBE was carried out for Pr3Mg3InAgPt after structural relaxation.

## Properties
As for the crystal system: hexagonal. Its size of the total moment is 0.1 μB/cell. As for the total energy: -3.915 eV/atom.

Cell lengths 8.024, 8.024, 4.120 Å; angles 90.00, 90.00, 120.00 degrees
Fractional positions:
Ag (0.000, 0.000, 0.000)
In (0.667, 0.333, 0.500)
Mg (0.245, 0.002, 0.500)
Mg (0.998, 0.244, 0.500)
Mg (0.756, 0.755, 0.500)
Pr (0.401, 0.428, 0.000)
Pr (0.027, 0.599, 0.000)
Pr (0.572, 0.973, 0.000)
Pt (0.333, 0.667, 0.500)

* * * * *

No. 1
Density functional theory data (PBE) for an optimized crystal structure of Eu2ScTl.

a = 4.1174 Å, b = 4.1174 Å, c = 7.3415 Å
α = 90.00°, β = 90.00°, γ = 90.00°
With the nearest neighbours (Å) after each atom.
Space group P4/mmm (No. 123)
Unique sites:
Eu: 0.0000 0.0000 0.2452 [2 per cell]  4 Tl 3.42, 4 Sc 3.46, 2 Eu 3.60-3.74
Sc: 0.5000 0.5000 0.5000 [1 per cell]  8 Eu 3.46, 2 Tl 3.67
Tl: 0.5000 0.5000 0.0000 [1 per cell]  8 Eu 3.42, 2 Sc 3.67

Calculated values
As for the size of the total moment: 14.5 μB per cell. The value obtained for the density of states at the Fermi level is 1.1793 states/eV/atom. For the electronic total energy, the calculation gives -7.38 eV/atom.

---

No. 2
Density functional theory data (PBE) for an optimized crystal structure of GaPbSeO5.

a = 7.4689 Å, b = 9.2564 Å, c = 7.4935 Å
α = 90.00°, β = 117.37°, γ = 90.00°
With the nearest neighbours (Å) after each atom.
Space group C2/c (No. 15)
Unique sites:
Ga: 0.0000 0.0000 0.0000 [4 per cell]  4 O 1.94-2.01
Pb: 0.0000 0.3093 0.2500 [4 per cell]  5 O 2.36-2.59
Se: 0.0000 0.2944 0.7500 [4 per cell]  2 O 1.71
O: 0.0000 0.0545 0.2500 [4 per cell]  2 Ga 1.94
O: 0.1101 0.2003 0.5893 [8 per cell]  1 Se 1.95, 1 Ga 2.01
O: 0.1845 0.4081 0.9103 [8 per cell]  1 Se 1.71

Calculated values
As for the size of the total moment: 3.7 μB per cell. The value obtained for the density of states at the Fermi level is 0.2211 states/eV/atom. For the electronic total energy, the calculation gives -5.39 eV/atom. The calculation puts the uncorrected formation energy at -1.009 eV per atom.

---

No. 3
Density functional theory data (PBE) for an optimized crystal structure of Na2PaPbI8.

a = 7.4182 Å, b = 9.4241 Å, c = 7.8531 Å
α = 90.00°, β = 94.46°, γ = 90.00°
With the nearest neighbours (Å) after each atom.
Space group P2/m (No. 10)
Unique sites:
Na: 0.0000 0.2398 0.0000 [2 per cell]  4 I 3.08-3.30
Pa: 0.5000 0.5000 0.5000 [1 per cell]  6 I 3.04-3.05
Pb: 0.5000 0.0000 0.5000 [1 per cell]  6 I 3.17-3.31
I: 0.2411 0.0000 0.1586 [2 per cell]  2 Na 3.08, 1 Pb 3.17
I: 0.2453 0.5000 0.1768 [2 per cell]  1 Pa 3.04, 2 Na 3.30
I: 0.2724 0.2689 0.6508 [4 per cell]  1 Pa 3.05, 1 Pb 3.31

Calculated values
As for the size of the total moment: 1.0 μB per cell. The value obtained for the density of states at the Fermi level is 0.0812 states/eV/atom. For the electronic total energy, the calculation gives -3.30 eV/atom. The calculation puts the uncorrected formation energy at -0.948 eV per atom.

---

No. 4
Density functional theory data (PBE) for an optimized crystal structure of TlSiAg.

a = 3.9964 Å, b = 6.1327 Å, c = 6.5415 Å
α = 65.05°, β = 72.33°, γ = 89.99°
With the nearest neighbours (Å) after each atom.
Space group P1 (No. 1)
Unique sites:
Tl: 0.0000 0.0000 0.0000 [1 per cell]  4 Ag 2.94-3.04, 2 Tl 3.14-3.15
Tl: 0.2871 0.7281 0.4254 [1 per cell]  4 Ag 2.94-3.04, 2 Tl 3.14-3.15
Si: 0.4543 0.4354 0.0908 [1 per cell]  2 Si 2.41-2.42, 2 Ag 2.59-2.65
Si: 0.8348 0.2959 0.3310 [1 per cell]  2 Si 2.41-2.42, 2 Ag 2.59-2.65